Same as anyone, I get ticked off at bad shots. But I really try not to. Ups and downs are the nature of this game, and what separates great players from merely good players is the ability to coolly diagnose what’s going on in their swings – and then adjust. Is it going to take one or two missed shots on the course to figure it out, or are you going to shoot a thousand and need to plough through five bags of range balls after the round to get it sorted? Hopefully it’s closer to the first scenario, but I’ve also noticed great players don’t rely on hope. Rather, when the ball starts behaving unexpectedly, they have a systematic method for reassuming control. You start with the minor stuff that’s easy to fix, and then only move on to more dramatic shifts of swing thought if necessary. And you go through this process in the same order every time. This is how you prevent getting totally lost.
I’ve got the Masters coming up in November – a tournament I love. Suppose I open bogey-bogey. There will be no value in getting upset. My only job is to collect information. What can the ball flight of a missed shot suggest about the swing that produced it? How about the next missed shot? There’s a way to fix a swing efficiently, and I’m going to show you my basic three-step method. If you apply this to your game, I think you’ll waste less time searching, which leaves more time for playing at a level where you can score.
– with Max Adler
step 1: become a shot detective
My goal is to fix my swing without hitting another ball. After a bad shot, rather than pout, I put the club precisely where the divot was, and make a swing imagining a good result. Quite often I can feel what the mistake was, and re-creating the good swing helps me move on psychologically. Figuring out a fault without hitting a ball is just as important on the range. It takes some willpower not to start beating balls, but trust me, you’ll save time. I have an alignment stick with my various ball positions marked. For example, my 6-iron is just forward of middle, and my driver is just inside my left heel. With an imaginary target, I’ll stand in and think, Is this how it felt on the golf course? Why is this different on my eyes? Most of the time, the culprit was a small variance in my setup. I’ll adjust, wave a few practice swings through the impact zone, and feel better.
step 2: know your ‘thing’
The article is interrupted by crystal structures:
********
Entry 1:
The following is a DFT calculation (PBE-GGA) of an optimized crystal structure of Th2N3.

## Properties
* uncorrected energy: -46.63 eV/cell
* M_tot: 0.000 μB/atom

Geometry as CIF:
```
data_Th2N3
_cell_length_a 3.913
_cell_length_b 3.913
_cell_length_c 6.153
_cell_angle_alpha 90.00
_cell_angle_beta 90.00
_cell_angle_gamma 120.00
_space_group_name_H-M_alt 'P 1'
_space_group_IT_number 1
_space_group_name_Hall 'P 1'
loop_
_atom_site_label
_atom_site_fract_x
_atom_site_fract_y
_atom_site_fract_z
_atom_site_occupancy
Th1 0.333 0.667 0.751 1
Th2 0.667 0.333 0.249 1
N1 0.333 0.667 0.358 1
N2 0.000 0.000 0.000 1
N3 0.667 0.333 0.642 1
```



Entry 2:
The following is a DFT calculation (PBE-GGA) of an optimized crystal structure of ThN2.

## Properties
* uncorrected energy: -25.71 eV/cell
* M_tot: 0.570 μB/atom

Geometry as CIF:
```
data_ThN2
_cell_length_a 4.021
_cell_length_b 4.021
_cell_length_c 4.021
_cell_angle_alpha 60.00
_cell_angle_beta 60.00
_cell_angle_gamma 60.00
_space_group_name_H-M_alt 'P 1'
_space_group_IT_number 1
_space_group_name_Hall 'P 1'
loop_
_atom_site_label
_atom_site_fract_x
_atom_site_fract_y
_atom_site_fract_z
_atom_site_occupancy
N1 0.250 0.250 0.250 1
N2 0.750 0.750 0.750 1
Th1 0.500 0.500 0.500 1
```



Entry 3:
The following is a DFT calculation (PBE-GGA) of an optimized crystal structure of ThUN2.

## Properties
* uncorrected energy: -40.85 eV/cell
* M_tot: 0.242 μB/atom

Geometry as CIF:
```
data_ThUN2
_cell_length_a 3.558
_cell_length_b 3.558
_cell_length_c 5.031
_cell_angle_alpha 90.00
_cell_angle_beta 90.00
_cell_angle_gamma 90.00
_space_group_name_H-M_alt 'P 1'
_space_group_IT_number 1
_space_group_name_Hall 'P 1'
loop_
_atom_site_label
_atom_site_fract_x
_atom_site_fract_y
_atom_site_fract_z
_atom_site_occupancy
U1 0.000 0.000 0.000 1
N1 0.500 0.500 0.000 1
N2 0.000 0.000 0.500 1
Th1 0.500 0.500 0.500 1
```



Entry 4:
The following is a DFT calculation (PBE-GGA) of an optimized crystal structure of YThN2.

## Properties
* uncorrected energy: -37.01 eV/cell

Geometry as CIF:
```
data_YThN2
_cell_length_a 3.588
_cell_length_b 3.588
_cell_length_c 5.042
_cell_angle_alpha 90.00
_cell_angle_beta 90.00
_cell_angle_gamma 90.00
_space_group_name_H-M_alt 'P 1'
_space_group_IT_number 1
_space_group_name_Hall 'P 1'
loop_
_atom_site_label
_atom_site_fract_x
_atom_site_fract_y
_atom_site_fract_z
_atom_site_occupancy
Y1 0.000 0.000 0.000 1
N1 0.500 0.500 0.000 1
N2 0.000 0.000 0.500 1
Th1 0.500 0.500 0.500 1
```



Entry 5:
The following is a DFT calculation (PBE-GGA) of an optimized crystal structure of Ti3N4.

## Properties
* uncorrected energy: -65.92 eV/cell
* M_tot: 0.000 μB/atom

Geometry as CIF:
```
data_Ti3N4
_cell_length_a 5.132
_cell_length_b 5.132
_cell_length_c 5.132
_cell_angle_alpha 132.17
_cell_angle_beta 132.17
_cell_angle_gamma 69.96
_space_group_name_H-M_alt 'P 1'
_space_group_IT_number 1
_space_group_name_Hall 'P 1'
loop_
_atom_site_label
_atom_site_fract_x
_atom_site_fract_y
_atom_site_fract_z
********
Let’s say you’ve checked your setup and feel comfortable over the ball, but you’re still hitting bad shots. Now what? Well, I think “flaw” is too harsh a word, but every golfer has a central “idiosyncrasy” in their swing that results in misses. They’ve contended with it ever since picking up a club. Chances are, you know what yours is, but if you don’t, find a teacher you trust to help you identify it. Ever since I was a boy, I’ve had a tendency to tilt forward slightly at the top of the backswing. At the moment I’m anticipating the shot, my left hip buckles. If it’s windy, or I’ve played two or three events in a row without seeing my coach, Cameron McCormick, my likelihood of doing it increases. To fix it, I stop at the top of my backswing and check that my weight is loaded and stable over my right hip. Point is, I always check my “thing” before I snoop around anywhere else.
“When all else fails, check your clubface for poor contact.”
step 3: solve for contact
If you’ve gone through the first two steps and still can’t figure out what’s wrong, don’t panic. Maybe you can sort your swing with my third step: solve for contact. That means identify where you’re striking the ball on the clubface. I’ve developed a pretty keen sense for this, but you can tell by putting powder or a spray on the face, or simply checking where the grooves are dirty. When I’m striking the ball towards the heel, that’s an indication I’m standing up through impact and my hands are getting too high. When that happens, I tend to hit heavy draws. When I strike the ball off the toe, that usually means I’m squatting too early in the downswing. I got off to a bad start on Friday at the 2018 Masters with some toe balls that sailed to the right. But I was able to recognise this and play the last 16 holes in one-under par. Sometimes you’ll need a deep-dive lesson or practice session to find your fault, but hopefully my three-step method can save an important round.